
My notes and code for the Redux tutorial at: https://redux.js.org/.

Primary LanguageJavaScript

Redux tutorial

My notes and code going through the redux tutorial at .


Actions are an object that have a type and some user defined data that get dispatched to the store.

They tell us what happened, but don't exactly tell us how to change the state, that's the job of reducers which are covered next.

Example: we can create an "ADD_TODO" type, associate some text with it and dispatch it.

// Action Types are defined

export const ADD_TODO = 'ADD_TODO';

// Actions are created

  type: ADD_TODO,
  text: 'Some text that represents the todo'

// We can use functions to create actions

export function addTodo(text) {
  { type: ADD_TODO, text }


Actions told us what actions happened in our application but didn't tell us how we should change the state.

Reducers are pure functions that take in a state and return a new state.

Using reducers we can create the functionality in our app that reacts to dispatched actions.

// Some initial state
const initialState = {
  VisibilityFilter: VisibilityFilters.SHOW_ALL,
  todos: []

// A reducer that updates the visibility filter
function todoApp(state = initialState, action) {
  switch (action.type) {
      return {
        visibilityFilter: action.filter
      return state

Reducer Composition

It's a common design pattern to write reducers that handle each part of the state.

// initial state

const initialState = {
  visibilityFilter: visibilityFilters.SHOW_ALL,
  todos: []

Given this initial state we write a reducer that handles todos and a reducer that handles VisibilityFilters.

function todos(state = [], action) { ... }
function visibilityFilter(state = SHOW_ALL, action) { ... }

These functions take in todos and visiblityFilter respectively. The cases where the state passed in is undefined are handled by the default parameter.

We can create a file to handle these reducers and create an object using combineReducers to package together our reducers.

// reducers.js

........
[1]
# CaBe17Pd
Simulated X-ray powder pattern, Cu Kα (λ = 1.5418 Å). Input: the PBE geometry in Alexandria.

Principal peaks in the range 2θ from 10° to 80°, in order of rising 2θ:
d 5.610, 15.8 deg, I 100, hkl 1 0 1; d 4.193, 21.2 deg, I 56, hkl 0 1 2; d 3.774, 23.6 deg, I 93, hkl 1 1 0; d 3.644, 24.4 deg, I 30, hkl 0 0 3; d 3.131, 28.5 deg, I 31, hkl 0 2 1; d 2.621, 34.2 deg, I 99, hkl 1 1 3; d 2.410, 37.3 deg, I 31, hkl 2 1 1; d 2.179, 41.4 deg, I 39, hkl 3 0 0; d 1.887, 48.2 deg, I 33, hkl 2 2 0; d 1.870, 48.7 deg, I 59, hkl 3 0 3

Structural model:
Cell: 7.5472 7.5472 10.9328 Å, 90.00 90.00 120.00°
Space group R3m (No. 160, hexagonal axes)
Inequivalent atoms, fractional coordinates:
Ca1 0.0000 0.0000 0.0000 x3
Be1 0.0000 0.0000 0.5563 x3
Be2 0.0000 0.0000 0.7496 x3
Be3 0.0458 0.3730 0.3200 x18
Be4 0.1692 0.3383 0.8316 x9
Be5 0.1723 0.3447 0.4896 x9
Be6 0.1766 0.3532 0.1389 x9
Pd1 0.0000 0.0000 0.3296 x3



[2]
# RbCaBeSiPdSe
Simulated X-ray powder pattern, Cu Kα (λ = 1.5418 Å). Input: the PBE geometry in Alexandria.

Principal peaks in the range 2θ from 10° to 80°, in order of rising 2θ:
d 4.986, 17.8 deg, I 20, hkl 0 0 2; d 3.408, 26.1 deg, I 100, hkl 1 1 1; d 3.324, 26.8 deg, I 29, hkl 0 0 3; d 2.942, 30.4 deg, I 34, hkl 1 1 -2; d 2.928, 30.5 deg, I 18, hkl 1 1 2; d 2.458, 36.6 deg, I 17, hkl 1 1 -3; d 2.098, 43.1 deg, I 17, hkl 0 2 0; d 2.091, 43.3 deg, I 34, hkl 3 1 0; d 2.060, 43.9 deg, I 13, hkl 1 1 -4; d 1.776, 51.5 deg, I 23, hkl 4 0 1

Structural model:
Cell: 7.2369 4.1966 9.9719 Å, 90.00 90.57 90.00°
Space group Cm (No. 8)
Inequivalent atoms, fractional coordinates:
Rb1 0.0000 0.0000 0.0000 x2
Ca1 0.3374 0.0000 0.3782 x2
Be1 0.9998 0.0000 0.6616 x2
Si1 0.1659 0.5000 0.6733 x2
Pd1 0.3333 0.0000 0.6751 x2
Se1 0.1697 0.5000 0.2345 x2



[3]
# RbCaBeSiPdSe
Simulated X-ray powder pattern, Cu Kα (λ = 1.5418 Å). Input: the PBE geometry in Alexandria.

Principal peaks in the range 2θ from 10° to 80°, in order of rising 2θ:
d 5.032, 17.6 deg, I 38, hkl 0 0 2; d 3.524, 25.3 deg, I 52, hkl 2 0 0; d 3.488, 25.5 deg, I 85, hkl 1 1 -1; d 3.354, 26.6 deg, I 58, hkl 0 0 3; d 3.067, 29.1 deg, I 46, hkl 1 1 -2; d 2.791, 32.1 deg, I 100, hkl 1 1 2; d 2.708, 33.1 deg, I 50, hkl 2 0 -3; d 2.082, 43.5 deg, I 32, hkl 0 2 0; d 2.075, 43.6 deg, I 59, hkl 3 1 -1; d 1.792, 51.0 deg, I 32, hkl 3 1 2

Structural model:
Cell: 7.1866 4.1635 10.2613 Å, 90.00 101.27 90.00°
Space group Cm (No. 8)
Inequivalent atoms, fractional coordinates:
Rb1 0.0000 0.0000 0.0000 x2
Ca1 0.1062 0.0000 0.3821 x2
Be1 0.1900 0.0000 0.6790 x2
Si1 0.3472 0.5000 0.6483 x2
Pd1 0.0168 0.5000 0.6558 x2
Se1 0.3983 0.0000 0.2328 x2



[4]
# RbCaBeSiPdSe
Simulated X-ray powder pattern, Cu Kα (λ = 1.5418 Å). Input: the PBE geometry in Alexandria.

Principal peaks in the range 2θ from 10° to 80°, in order of rising 2θ:
........

const todoApp = combineReducers({


The store brings our actions and reducers together.

It holds the state, gives access to the state, allows the state to be updated, and adds and removes listeners.

In a redux app you'll only have one store.

To create a store we import the result of our combineReducers() call from the previous section and pass it to createStore().

import { createStore } from 'redux'
import todoApp from './reducers'

const store = createStore(todoApp)

store.getState() // outputs: { todos: [], visibiltyFilter: SHOW_ALL }

store.dispatch(addTodo("Start a project")) // dispatches "ADD_TODO" with data

store.getState() // outsput: { todos: [{ text: "Start a project", completed: false }], visibiltyFilter: SHOW_ALL }

You can also add a listener to the store that gets called when the store is updated.

const unsubscribe = store.listener(() => {
  console.log(store.getState()) // logs the state everytime the store is updated

The store.listener() function returns a method to unregister a listener when called.

To stop listening to changes that occur to the store just call unsubscribe().